# Wanted
Start at the top of the block below and retype each line, ending with the one that has "-0.4 -0.1".

# Material
- - -
The following is a quantum chemistry calculation of C29H20Br2CoN2OS as an isolated structure, from OMol25.

```
56
Properties=species:S:1:pos:R:3:forces:R:3:lowdin_spin:R:1
Co -0.21328 -0.04714 -0.00369 -1.4 2.4 0.2 0.443
C 0.14776 -1.88974 0.77523 0.4 -0.4 0.5 0.045
C 1.23658 -1.86054 -0.18583 1.0 -1.1 0.1 -0.018
C 2.46268 -1.28145 -0.06566 -0.3 0.1 -0.1 0.196
C 2.72854 -0.17461 0.89479 0.0 -0.2 0.0 0.030
C 1.09620 -0.07408 2.25028 0.3 0.1 0.4 0.023
C 0.04878 -1.07910 1.88886 0.4 -0.7 0.1 0.107
H -0.57163 -2.68852 0.65295 -0.1 0.1 -0.1 0.001
H 1.13760 -2.57987 -0.98967 -0.1 0.1 -0.1 -0.003
H 3.23329 -1.52136 -0.78698 0.0 0.0 0.0 0.012
H 3.60868 0.40317 0.61943 0.0 0.0 0.0 0.002
H 0.73487 0.61007 3.01792 0.0 0.0 0.0 0.001
H -0.69108 -1.31591 2.64197 -0.2 0.1 -0.2 0.006
S -4.37119 -0.19044 -1.61887 0.2 0.0 0.1 0.001
C -4.60586 -0.10649 0.10234 0.3 0.0 0.0 0.000
C -5.79337 -0.04964 0.81869 -0.1 0.0 0.0 0.000
C -5.72180 0.06734 2.19397 -0.1 0.0 0.0 0.000
C -4.48699 0.14345 2.84203 0.1 0.0 0.0 0.000
C -3.30631 0.08229 2.12995 0.1 0.0 0.0 0.002
C -3.35848 -0.06487 0.74494 -0.3 0.0 0.2 0.000
N -2.28416 -0.13509 -0.11646 0.8 -0.2 -0.5 0.007
C -2.65016 -0.17242 -1.36668 -0.5 0.0 0.1 0.002
C -1.65321 -0.16920 -2.41208 0.3 0.0 -0.3 0.006
C -1.96535 -0.08945 -3.77054 -0.1 0.0 0.2 0.001
C -0.94435 -0.03182 -4.69801 0.0 0.0 -0.1 0.000
C 0.37666 -0.04404 -4.26383 0.0 0.0 0.1 0.003
C 0.67770 -0.11569 -2.90904 0.0 0.0 -0.1 0.014
C -0.32745 -0.18242 -1.95462 0.0 -0.1 0.2 0.056
H -6.74767 -0.08314 0.30988 0.0 0.0 0.0 0.000
H -6.63291 0.11599 2.77547 0.0 0.0 0.0 0.000
H -4.45565 0.26359 3.91684 0.0 0.0 0.0 0.000
H -2.34542 0.17673 2.61679 0.0 0.0 0.0 0.001
H -3.00298 -0.05472 -4.08531 0.0 0.0 -0.1 0.000
H -1.17011 0.03535 -5.75426 0.0 0.0 0.0 0.000
H 1.18071 0.00796 -4.98826 0.0 0.0 0.0 0.001
H 1.71844 -0.11267 -2.60129 0.0 0.0 0.0 0.002
C 2.90880 -1.89363 2.92398 0.0 0.2 0.0 0.004
C 2.59649 -0.48809 2.42978 -0.1 -0.2 -0.2 0.023
C 3.33169 0.61306 3.15364 0.0 0.1 0.0 0.003
C 3.27437 1.93176 2.91998 0.1 -0.1 0.1 0.002
C 2.40380 2.67965 1.99860 -0.1 0.1 -0.2 0.000
C 2.31304 4.07652 2.01292 0.1 0.0 0.1 -0.001
Br 3.44407 5.13749 3.12223 0.0 0.0 -0.1 0.000
C 1.37129 4.75299 1.25072 0.0 0.0 0.0 0.000
C 0.45378 4.06464 0.48176 -0.1 -0.1 -0.1 0.000
Br -0.87875 4.99390 -0.48187 0.1 0.0 0.1 0.000
C 0.46610 2.65706 0.42848 0.3 -0.1 0.1 0.004
O -0.41873 1.92250 -0.16242 -0.3 0.1 -0.1 0.016
C 1.53017 2.04284 1.11980 -0.2 0.2 -0.2 0.003
N 1.47431 0.62722 0.98240 -0.1 -0.4 -0.1 0.004
H 3.76117 -1.89682 3.60325 0.0 0.0 0.0 0.000
H 3.13902 -2.55436 2.08790 -0.1 0.0 0.0 0.003
H 2.05448 -2.31823 3.45361 0.0 0.0 0.0 0.001
H 4.02132 0.27837 3.92119 0.0 0.0 0.0 0.001
H 3.91416 2.55957 3.52620 0.0 0.0 0.0 0.000
H 1.33678 5.83293 1.27791 0.0 0.0 0.0 0.000
```
Forces are in eV/Å.

Its spin multiplicity is 2. Its net charge is 0. For the gap between HOMO and LUMO (spin up / spin down), the calculation gives 0.2677 / 0.2325 Ha. The HOMO energy (spin up / spin down) comes out at -0.270 / -0.271 Ha. As for the expectation value of S²: 1.205.

---

The following is a quantum chemistry calculation of C29H20Br3FeN4O3S2 as an isolated structure, from OMol25.

```
62
Properties=species:S:1:pos:R:3:forces:R:3:lowdin_spin:R:1
Fe 0.38874 -0.34295 0.63577 0.5 -0.5 0.2 1.219
Br -1.50791 -5.07846 -0.10666 0.0 0.0 0.0 0.000
C -2.51222 -3.47147 -0.22675 -0.1 0.0 -0.1 -0.001
C -3.87719 -3.54838 -0.53146 0.0 0.0 0.0 0.000
C -4.63712 -2.42058 -0.65843 0.1 0.0 0.0 -0.001
Br -6.49089 -2.59444 -1.07823 0.0 0.0 0.0 0.000
C -4.06089 -1.13564 -0.48391 -0.1 0.0 0.0 0.001
C -4.72678 0.10225 -0.59763 0.0 0.0 0.0 -0.002
C -4.03369 1.26197 -0.38609 0.0 0.0 0.0 0.001
C -2.66847 1.20038 -0.05732 0.0 0.0 0.0 0.001
N -2.02558 0.06643 0.03744 -0.2 0.1 -0.2 0.024
C -2.68977 -1.08076 -0.16839 0.2 0.0 0.0 0.001
C -1.84949 -2.25630 -0.04296 0.1 0.0 -0.1 0.001
O -0.60833 -2.12425 0.17836 -0.3 0.1 0.1 -0.004
H -4.32709 -4.52266 -0.66847 0.0 0.0 0.0 0.000
H -5.77973 0.11876 -0.84801 0.0 0.0 0.0 0.000
- - -

# Completed
The following is a quantum chemistry calculation of C29H20Br2CoN2OS as an isolated structure, from OMol25.

```
56
Properties=species:S:1:pos:R:3:forces:R:3:lowdin_spin:R:1
Co -0.21328 -0.04714 -0.00369 -1.4 2.4 0.2 0.443
C 0.14776 -1.88974 0.77523 0.4 -0.4 0.5 0.045
C 1.23658 -1.86054 -0.18583 1.0 -1.1 0.1 -0.018
C 2.46268 -1.28145 -0.06566 -0.3 0.1 -0.1 0.196
C 2.72854 -0.17461 0.89479 0.0 -0.2 0.0 0.030
C 1.09620 -0.07408 2.25028 0.3 0.1 0.4 0.023
C 0.04878 -1.07910 1.88886 0.4 -0.7 0.1 0.107
H -0.57163 -2.68852 0.65295 -0.1 0.1 -0.1 0.001
H 1.13760 -2.57987 -0.98967 -0.1 0.1 -0.1 -0.003
H 3.23329 -1.52136 -0.78698 0.0 0.0 0.0 0.012
H 3.60868 0.40317 0.61943 0.0 0.0 0.0 0.002
H 0.73487 0.61007 3.01792 0.0 0.0 0.0 0.001
H -0.69108 -1.31591 2.64197 -0.2 0.1 -0.2 0.006
S -4.37119 -0.19044 -1.61887 0.2 0.0 0.1 0.001
C -4.60586 -0.10649 0.10234 0.3 0.0 0.0 0.000
C -5.79337 -0.04964 0.81869 -0.1 0.0 0.0 0.000
C -5.72180 0.06734 2.19397 -0.1 0.0 0.0 0.000
C -4.48699 0.14345 2.84203 0.1 0.0 0.0 0.000
C -3.30631 0.08229 2.12995 0.1 0.0 0.0 0.002
C -3.35848 -0.06487 0.74494 -0.3 0.0 0.2 0.000
N -2.28416 -0.13509 -0.11646 0.8 -0.2 -0.5 0.007
C -2.65016 -0.17242 -1.36668 -0.5 0.0 0.1 0.002
C -1.65321 -0.16920 -2.41208 0.3 0.0 -0.3 0.006
C -1.96535 -0.08945 -3.77054 -0.1 0.0 0.2 0.001
C -0.94435 -0.03182 -4.69801 0.0 0.0 -0.1 0.000
C 0.37666 -0.04404 -4.26383 0.0 0.0 0.1 0.003
C 0.67770 -0.11569 -2.90904 0.0 0.0 -0.1 0.014
C -0.32745 -0.18242 -1.95462 0.0 -0.1 0.2 0.056
H -6.74767 -0.08314 0.30988 0.0 0.0 0.0 0.000
H -6.63291 0.11599 2.77547 0.0 0.0 0.0 0.000
H -4.45565 0.26359 3.91684 0.0 0.0 0.0 0.000
H -2.34542 0.17673 2.61679 0.0 0.0 0.0 0.001
H -3.00298 -0.05472 -4.08531 0.0 0.0 -0.1 0.000
H -1.17011 0.03535 -5.75426 0.0 0.0 0.0 0.000
H 1.18071 0.00796 -4.98826 0.0 0.0 0.0 0.001
H 1.71844 -0.11267 -2.60129 0.0 0.0 0.0 0.002
C 2.90880 -1.89363 2.92398 0.0 0.2 0.0 0.004
C 2.59649 -0.48809 2.42978 -0.1 -0.2 -0.2 0.023
C 3.33169 0.61306 3.15364 0.0 0.1 0.0 0.003
C 3.27437 1.93176 2.91998 0.1 -0.1 0.1 0.002
C 2.40380 2.67965 1.99860 -0.1 0.1 -0.2 0.000
C 2.31304 4.07652 2.01292 0.1 0.0 0.1 -0.001
Br 3.44407 5.13749 3.12223 0.0 0.0 -0.1 0.000
C 1.37129 4.75299 1.25072 0.0 0.0 0.0 0.000
C 0.45378 4.06464 0.48176 -0.1 -0.1 -0.1 0.000
Br -0.87875 4.99390 -0.48187 0.1 0.0 0.1 0.000
C 0.46610 2.65706 0.42848 0.3 -0.1 0.1 0.004
O -0.41873 1.92250 -0.16242 -0.3 0.1 -0.1 0.016
C 1.53017 2.04284 1.11980 -0.2 0.2 -0.2 0.003
N 1.47431 0.62722 0.98240 -0.1 -0.4 -0.1 0.004